• Work order:
Please return the block underneath from the first line to the one with "1.13 -3.40" without altering anything.

• Material:
/*
Entry 1:
The following is a DFT calculation (the ωB97M-V functional and the def2-TZVPD basis) of the molecule C4H11NO.

For the relative energy (zero: lowest compared OMol25 entry of this formula, charge and spin), the calculation gives 103.2 kJ/mol. The HOMO-LUMO gap comes out at 9.62 eV. The calculation puts the HOMO energy at -8.63 eV. As for the SMILES: CNC(C)(C)O.

Atoms and positions in Å:
1 C -1.97 -0.47 0.02
2 N -0.71 -0.60 0.72
3 C 0.45 0.07 0.24
4 C 1.34 -0.94 -0.47
5 C 0.23 1.33 -0.60
6 O 1.09 0.41 1.61
7 H -2.35 0.55 0.04
8 H -2.69 -1.12 0.51
9 H -1.83 -0.83 -1.00
10 H -0.81 -0.37 1.71
11 H 2.30 -0.48 -0.70
12 H 1.50 -1.80 0.17
13 H 0.87 -1.27 -1.40
14 H -0.35 2.06 -0.04
15 H 1.19 1.77 -0.87
16 H -0.30 1.12 -1.53
17 H 2.03 0.58 1.59

Charges per atom according to Mulliken partitioning, unit e:
1. C -0.88
2. N -0.33
3. C 1.31
4. C -1.52
5. C -1.67
6. O -0.62
7. H 0.29
8. H 0.34
9. H 0.29
10. H 0.26
11. H 0.39
12. H 0.40
13. H 0.31
14. H 0.37
15. H 0.42
16. H 0.34
17. H 0.30

***

Entry 2:
The following is a DFT calculation (the ωB97M-V functional and the def2-TZVPD basis) of the molecule C3H2N2O2S.

For the relative energy (zero: lowest compared OMol25 entry of this formula, charge and spin), the calculation gives 274.9 kJ/mol. The HOMO-LUMO gap comes out at 8.10 eV. The calculation puts the HOMO energy at -9.06 eV. As for the SMILES: Oc1ncoc(=S)n1.

Atoms and positions in Å:
1 O 0.99 2.04 0.19
2 C 0.30 0.89 -0.06
3 N -0.87 0.94 -0.84
4 C -1.50 -0.12 -0.63
5 O -0.97 -1.22 0.18
6 C 0.50 -1.23 0.46
7 S 1.15 -2.74 0.66
8 N 1.01 -0.06 0.41
9 H 1.70 1.80 0.83
10 H -2.32 -0.29 -1.21

Charges per atom according to Mulliken partitioning, unit e:
1. O -0.49
2. C 0.72
3. N -0.39
4. C 0.06
5. O -0.31
6. C 0.29
7. S -0.28
8. N -0.47
9. H 0.41
10. H 0.46

***

Entry 3:
The following is a DFT calculation (the ωB97M-V functional and the def2-TZVPD basis) of a structure of composition C40H46IrN8P2S3.

The net charge is +4. For the relative energy (zero: lowest compared OMol25 entry of this formula, charge and spin), the calculation gives 50.8 kJ/mol. The HOMO-LUMO gap (alpha / beta) comes out at 7.85 / 4.38 eV. The calculation puts the HOMO energy (alpha / beta) at -18.42 / -18.41 eV. Its multiplicity is 2.

Atoms and positions in Å:
1 Ir -0.27 0.24 0.17
2 C -1.98 3.71 2.35
3 N -1.46 2.56 1.59
4 P -1.71 0.93 1.93
5 C -3.45 0.50 1.83
6 C -3.83 -0.84 1.98
7 C -5.17 -1.18 1.98
8 C -6.14 -0.20 1.82
9 C -5.77 1.13 1.66
10 C -4.42 1.48 1.66
11 C -1.16 0.71 3.64
12 C -0.17 1.62 4.10
13 C 0.22 1.60 5.44
14 C -0.34 0.69 6.32
15 C -1.31 -0.22 5.86
16 C -1.72 -0.20 4.53
17 P -0.28 2.60 0.36
18 C 1.19 3.48 0.90
19 C 2.46 2.91 0.85
20 C 3.58 3.65 1.22
21 C 3.43 4.96 1.65
22 C 2.17 5.55 1.68
23 C 1.05 4.82 1.30
24 C -0.94 3.57 -0.99
25 C -2.32 3.57 -1.23
26 C -2.84 4.36 -2.23
27 C -1.99 5.14 -3.02
28 C -0.62 5.13 -2.79
29 C -0.09 4.35 -1.77
30 H -2.74 3.36 3.05
31 H -2.44 4.43 1.67
32 H -1.19 4.19 2.91
33 H -3.08 -1.62 2.10
34 H -5.47 -2.21 2.11
35 H -7.19 -0.47 1.83
36 H -6.52 1.89 1.54
37 H -4.15 2.52 1.53
38 H 0.28 2.34 3.43
39 H 0.95 2.32 5.80
40 H -0.05 0.69 7.36
41 H -1.76 -0.92 6.55
42 H -2.50 -0.87 4.22
43 H 2.60 1.89 0.51
44 H 4.56 3.21 1.17
45 H 4.30 5.54 1.93
46 H 2.05 6.58 1.99
47 H 0.09 5.30 1.28
48 H -2.99 2.98 -0.61
49 H -3.91 4.39 -2.40
50 H -2.41 5.77 -3.80
51 H 0.03 5.74 -3.40
52 H 0.97 4.37 -1.58
53 N 1.53 -2.78 1.09
54 N 1.15 -2.60 2.42
55 C 1.13 -1.40 2.94
56 N 1.16 -1.23 4.25
57 S 1.19 0.10 1.95
58 H 0.88 -3.42 0.64
59 H 2.46 -3.20 1.07
60 H 1.13 -3.40 3.05
61 H 1.36 -1.99 4.89
62 H 0.95 -0.32 4.66
63 C -3.73 -0.23 -1.15
64 C -2.62 0.38 -1.95
65 N -1.35 0.51 -1.60
66 C -0.57 1.01 -2.64
67 C -1.27 1.32 -3.75
68 S -2.92 0.93 -3.53
69 C 0.88 0.96 -2.46
70 C 1.86 1.33 -3.33
71 S 3.36 0.79 -2.75
72 C 2.62 0.10 -1.38
73 N 1.32 0.28 -1.34
74 C 3.46 -0.68 -0.42
75 H -3.34 -0.70 -0.25
76 H -4.25 -0.97 -1.76
77 H -4.46 0.52 -0.86
78 H -0.90 1.69 -4.70
79 H 1.76 1.85 -4.27
80 H 4.51 -0.54 -0.65
81 H 3.23 -1.74 -0.52
*/

• Done:
Entry 1:
The following is a DFT calculation (the ωB97M-V functional and the def2-TZVPD basis) of the molecule C4H11NO.

For the relative energy (zero: lowest compared OMol25 entry of this formula, charge and spin), the calculation gives 103.2 kJ/mol. The HOMO-LUMO gap comes out at 9.62 eV. The calculation puts the HOMO energy at -8.63 eV. As for the SMILES: CNC(C)(C)O.

Atoms and positions in Å:
1 C -1.97 -0.47 0.02
2 N -0.71 -0.60 0.72
3 C 0.45 0.07 0.24
4 C 1.34 -0.94 -0.47
5 C 0.23 1.33 -0.60
6 O 1.09 0.41 1.61
7 H -2.35 0.55 0.04
8 H -2.69 -1.12 0.51
9 H -1.83 -0.83 -1.00
10 H -0.81 -0.37 1.71
11 H 2.30 -0.48 -0.70
12 H 1.50 -1.80 0.17
13 H 0.87 -1.27 -1.40
14 H -0.35 2.06 -0.04
15 H 1.19 1.77 -0.87
16 H -0.30 1.12 -1.53
17 H 2.03 0.58 1.59

Charges per atom according to Mulliken partitioning, unit e:
1. C -0.88
2. N -0.33
3. C 1.31
4. C -1.52
5. C -1.67
6. O -0.62
7. H 0.29
8. H 0.34
9. H 0.29
10. H 0.26
11. H 0.39
12. H 0.40
13. H 0.31
14. H 0.37
15. H 0.42
16. H 0.34
17. H 0.30

***

Entry 2:
The following is a DFT calculation (the ωB97M-V functional and the def2-TZVPD basis) of the molecule C3H2N2O2S.

For the relative energy (zero: lowest compared OMol25 entry of this formula, charge and spin), the calculation gives 274.9 kJ/mol. The HOMO-LUMO gap comes out at 8.10 eV. The calculation puts the HOMO energy at -9.06 eV. As for the SMILES: Oc1ncoc(=S)n1.

Atoms and positions in Å:
1 O 0.99 2.04 0.19
2 C 0.30 0.89 -0.06
3 N -0.87 0.94 -0.84
4 C -1.50 -0.12 -0.63
5 O -0.97 -1.22 0.18
6 C 0.50 -1.23 0.46
7 S 1.15 -2.74 0.66
8 N 1.01 -0.06 0.41
9 H 1.70 1.80 0.83
10 H -2.32 -0.29 -1.21

Charges per atom according to Mulliken partitioning, unit e:
1. O -0.49
2. C 0.72
3. N -0.39
4. C 0.06
5. O -0.31
6. C 0.29
7. S -0.28
8. N -0.47
9. H 0.41
10. H 0.46

***

Entry 3:
The following is a DFT calculation (the ωB97M-V functional and the def2-TZVPD basis) of a structure of composition C40H46IrN8P2S3.

The net charge is +4. For the relative energy (zero: lowest compared OMol25 entry of this formula, charge and spin), the calculation gives 50.8 kJ/mol. The HOMO-LUMO gap (alpha / beta) comes out at 7.85 / 4.38 eV. The calculation puts the HOMO energy (alpha / beta) at -18.42 / -18.41 eV. Its multiplicity is 2.

Atoms and positions in Å:
1 Ir -0.27 0.24 0.17
2 C -1.98 3.71 2.35
3 N -1.46 2.56 1.59
4 P -1.71 0.93 1.93
5 C -3.45 0.50 1.83
6 C -3.83 -0.84 1.98
7 C -5.17 -1.18 1.98
8 C -6.14 -0.20 1.82
9 C -5.77 1.13 1.66
10 C -4.42 1.48 1.66
11 C -1.16 0.71 3.64
12 C -0.17 1.62 4.10
13 C 0.22 1.60 5.44
14 C -0.34 0.69 6.32
15 C -1.31 -0.22 5.86
16 C -1.72 -0.20 4.53
17 P -0.28 2.60 0.36
18 C 1.19 3.48 0.90
19 C 2.46 2.91 0.85
20 C 3.58 3.65 1.22
21 C 3.43 4.96 1.65
22 C 2.17 5.55 1.68
23 C 1.05 4.82 1.30
24 C -0.94 3.57 -0.99
25 C -2.32 3.57 -1.23
26 C -2.84 4.36 -2.23
27 C -1.99 5.14 -3.02
28 C -0.62 5.13 -2.79
29 C -0.09 4.35 -1.77
30 H -2.74 3.36 3.05
31 H -2.44 4.43 1.67
32 H -1.19 4.19 2.91
33 H -3.08 -1.62 2.10
34 H -5.47 -2.21 2.11
35 H -7.19 -0.47 1.83
36 H -6.52 1.89 1.54
37 H -4.15 2.52 1.53
38 H 0.28 2.34 3.43
39 H 0.95 2.32 5.80
40 H -0.05 0.69 7.36
41 H -1.76 -0.92 6.55
42 H -2.50 -0.87 4.22
43 H 2.60 1.89 0.51
44 H 4.56 3.21 1.17
45 H 4.30 5.54 1.93
46 H 2.05 6.58 1.99
47 H 0.09 5.30 1.28
48 H -2.99 2.98 -0.61
49 H -3.91 4.39 -2.40
50 H -2.41 5.77 -3.80
51 H 0.03 5.74 -3.40
52 H 0.97 4.37 -1.58
53 N 1.53 -2.78 1.09
54 N 1.15 -2.60 2.42
55 C 1.13 -1.40 2.94
56 N 1.16 -1.23 4.25
57 S 1.19 0.10 1.95
58 H 0.88 -3.42 0.64
59 H 2.46 -3.20 1.07
60 H 1.13 -3.40 3.05